Request =
Could you write out all of the calculation results further below without altering anything?

Input =
┌──
La4InRe: simulated powder diffractogram (Cu Kα (weighted mean of Kα1 and Kα2)), based on a DFT-relaxed cell (PBE, Alexandria).

Structure:
Lattice parameters (Å, degrees): 8.375 8.375 6.348 100.85 100.85 114.07
Element x y z (fractional)
La (0.058, 0.721, 0.944)
La (0.205, 0.354, 0.631)
La (0.279, 0.942, 0.556)
La (0.354, 0.205, 0.131)
La (0.646, 0.795, 0.869)
La (0.721, 0.058, 0.444)
La (0.795, 0.646, 0.369)
La (0.942, 0.279, 0.056)
In (0.377, 0.623, 0.250)
In (0.623, 0.377, 0.750)
Re (0.001, 0.999, 0.250)
Re (0.999, 0.001, 0.750)

Largest 12 diffraction maxima, in order of falling intensity, 15° ≤ 2θ ≤ 90°:
| 2θ/deg | d_spacing | I (rel.) |
| --- | --- | --- |
| 32.32 | 2.770 | 100 |
| 30.39 | 2.941 | 74 |
| 34.12 | 2.628 | 69 |
| 32.68 | 2.740 | 67 |
| 33.56 | 2.670 | 52 |
| 35.81 | 2.508 | 45 |
| 40.29 | 2.239 | 45 |
| 36.92 | 2.435 | 40 |
| 28.84 | 3.096 | 34 |
| 44.09 | 2.054 | 33 |
| 33.13 | 2.704 | 32 |
| 29.52 | 3.026 | 31 |

~~~~~

Record 1
For La3YSb3, a structure optimized by DFT (GGA-PBE) gives the computed powder XRD pattern in this record (Cu Kα).
No peak broadening, texture or thermal motion is included.

Largest 10 diffraction maxima, in order of falling intensity, 5 to 70 degrees two-theta:
29.5 deg, rel. 100
35.0 deg, rel. 45
29.5 deg, rel. 39
35.1 deg, rel. 37
59.4 deg, rel. 14
42.2 deg, rel. 12
46.3 deg, rel. 11
48.4 deg, rel. 10
48.5 deg, rel. 10
61.2 deg, rel. 10

Crystal structure
```
14
Lattice="6.7451 -4.7915 0.0000 6.7451 4.7915 0.0000 -6.7301 0.0000 6.8000" Properties=species:S:1:pos:R:3 pbc="T T T"
La -1.7154 0.0000 2.6467
La 2.6709 -1.0556 1.7171
La -1.6870 -2.4651 6.0992
La 4.0891 -1.0556 5.0829
La 8.4754 0.0000 4.1533
La 8.4470 -2.4651 0.7008
Y 0.7622 1.3253 5.0838
Y 5.9978 1.3253 1.7161
Sb 6.7451 4.1350 0.0000
Sb -2.3944 0.6672 5.9797
Sb 3.3800 1.8648 3.4000
Sb 0.7924 -1.6933 4.2287
Sb 9.1543 0.6672 0.8203
Sb 5.9676 -1.6933 2.5712
```

Record 2
For La2YSb2, a structure optimized by DFT (GGA-PBE) gives the computed powder XRD pattern in this record (Cu Kα).
No peak broadening, texture or thermal motion is included.

Largest 10 diffraction maxima, in order of falling intensity, 5 to 70 degrees two-theta:
31.1 deg, rel. 100
33.5 deg, rel. 37
62.8 deg, rel. 26
53.8 deg, rel. 19
40.7 deg, rel. 14
49.0 deg, rel. 13
68.2 deg, rel. 10
45.5 deg, rel. 8
42.8 deg, rel. 6
14.8 deg, rel. 6

Crystal structure
```
10
Lattice="8.4495 0.0000 0.0000 0.0000 8.4495 0.0000 0.0000 0.0000 4.4287" Properties=species:S:1:pos:R:3 pbc="T T T"
La 1.2953 2.9295 0.0000
La 2.9295 7.1542 0.0000
La 5.5200 1.2953 0.0000
La 7.1542 5.5200 0.0000
Y 0.0000 0.0000 2.2144
Y 4.2247 4.2247 2.2144
Sb 1.2791 5.5039 2.2144
Sb 2.9456 1.2791 2.2144
Sb 5.5039 7.1704 2.2144
Sb 7.1704 2.9456 2.2144
```
└──

Here it is =
La4InRe: simulated powder diffractogram (Cu Kα (weighted mean of Kα1 and Kα2)), based on a DFT-relaxed cell (PBE, Alexandria).

Structure:
Lattice parameters (Å, degrees): 8.375 8.375 6.348 100.85 100.85 114.07
Element x y z (fractional)
La (0.058, 0.721, 0.944)
La (0.205, 0.354, 0.631)
La (0.279, 0.942, 0.556)
La (0.354, 0.205, 0.131)
La (0.646, 0.795, 0.869)
La (0.721, 0.058, 0.444)
La (0.795, 0.646, 0.369)
La (0.942, 0.279, 0.056)
In (0.377, 0.623, 0.250)
In (0.623, 0.377, 0.750)
Re (0.001, 0.999, 0.250)
Re (0.999, 0.001, 0.750)

Largest 12 diffraction maxima, in order of falling intensity, 15° ≤ 2θ ≤ 90°:
| 2θ/deg | d_spacing | I (rel.) |
| --- | --- | --- |
| 32.32 | 2.770 | 100 |
| 30.39 | 2.941 | 74 |
| 34.12 | 2.628 | 69 |
| 32.68 | 2.740 | 67 |
| 33.56 | 2.670 | 52 |
| 35.81 | 2.508 | 45 |
| 40.29 | 2.239 | 45 |
| 36.92 | 2.435 | 40 |
| 28.84 | 3.096 | 34 |
| 44.09 | 2.054 | 33 |
| 33.13 | 2.704 | 32 |
| 29.52 | 3.026 | 31 |

~~~~~

Record 1
For La3YSb3, a structure optimized by DFT (GGA-PBE) gives the computed powder XRD pattern in this record (Cu Kα).
No peak broadening, texture or thermal motion is included.

Largest 10 diffraction maxima, in order of falling intensity, 5 to 70 degrees two-theta:
29.5 deg, rel. 100
35.0 deg, rel. 45
29.5 deg, rel. 39
35.1 deg, rel. 37
59.4 deg, rel. 14
42.2 deg, rel. 12
46.3 deg, rel. 11
48.4 deg, rel. 10
48.5 deg, rel. 10
61.2 deg, rel. 10

Crystal structure
```
14
Lattice="6.7451 -4.7915 0.0000 6.7451 4.7915 0.0000 -6.7301 0.0000 6.8000" Properties=species:S:1:pos:R:3 pbc="T T T"
La -1.7154 0.0000 2.6467
La 2.6709 -1.0556 1.7171
La -1.6870 -2.4651 6.0992
La 4.0891 -1.0556 5.0829
La 8.4754 0.0000 4.1533
La 8.4470 -2.4651 0.7008
Y 0.7622 1.3253 5.0838
Y 5.9978 1.3253 1.7161
Sb 6.7451 4.1350 0.0000
Sb -2.3944 0.6672 5.9797
Sb 3.3800 1.8648 3.4000
Sb 0.7924 -1.6933 4.2287
Sb 9.1543 0.6672 0.8203
Sb 5.9676 -1.6933 2.5712
```

Record 2
For La2YSb2, a structure optimized by DFT (GGA-PBE) gives the computed powder XRD pattern in this record (Cu Kα).
No peak broadening, texture or thermal motion is included.

Largest 10 diffraction maxima, in order of falling intensity, 5 to 70 degrees two-theta:
31.1 deg, rel. 100
33.5 deg, rel. 37
62.8 deg, rel. 26
53.8 deg, rel. 19
40.7 deg, rel. 14
49.0 deg, rel. 13
68.2 deg, rel. 10
45.5 deg, rel. 8
42.8 deg, rel. 6
14.8 deg, rel. 6

Crystal structure
```
10
Lattice="8.4495 0.0000 0.0000 0.0000 8.4495 0.0000 0.0000 0.0000 4.4287" Properties=species:S:1:pos:R:3 pbc="T T T"
La 1.2953 2.9295 0.0000
La 2.9295 7.1542 0.0000
La 5.5200 1.2953 0.0000
La 7.1542 5.5200 0.0000
Y 0.0000 0.0000 2.2144
Y 4.2247 4.2247 2.2144
Sb 1.2791 5.5039 2.2144
Sb 2.9456 1.2791 2.2144
Sb 5.5039 7.1704 2.2144
Sb 7.1704 2.9456 2.2144
```